What to do
It remains to type out the block underneath from the line with "1.1643 0.7401" to the end unchanged.

File
┌──
29
Properties=species:S:1:pos:R:3:forces:R:3:mulliken_charge:R:1 method="wB97M-V/def2-TZVPD" multiplicity=1 smiles=C[C@@H](Oc1ccc(Cl)cc1Cl)c1ccnc(N)n1 relative_energy_ev=0.3246 gap_ev=9.431 e_lumo_ev=0.76 e_tot_ev=-44185.610 total_charge=0
C -1.2007 1.5724 1.2870 0.07 -0.30 0.11 -1.36
H -0.7639 2.5316 1.5454 -0.04 0.07 0.00 0.44
H -2.0705 1.3844 1.9123 -0.04 -0.02 0.07 0.38
H -1.5133 1.6024 0.2482 -0.02 0.07 -0.04 0.28
C -0.1556 0.4871 1.5257 -0.19 0.56 0.25 0.40
C 1.1643 0.7401 0.8310 0.49 -0.33 0.09 0.00
N 1.5036 2.0048 0.6434 -0.18 0.15 0.12 -0.42
C 2.6865 2.2355 0.0673 -0.06 -0.49 0.15 0.39
N 3.5534 1.3033 -0.3357 0.30 0.33 -0.23 -0.66
C 3.2079 0.0475 -0.1199 -0.31 -0.11 0.17 -0.36
C 2.0116 -0.3089 0.4797 0.01 0.09 0.12 -0.23
H 1.7361 -1.3362 0.6483 -0.02 -0.09 0.00 0.49
H 3.9223 -0.6973 -0.4470 0.00 -0.11 0.01 0.41
N 3.0482 3.5248 -0.0948 0.11 0.39 -0.06 -0.38
H 2.3597 4.2379 0.0616 0.03 -0.02 -0.02 0.23
H 3.8625 3.7210 -0.6478 -0.03 0.02 0.01 0.24
H 0.0776 0.4775 2.6025 -0.04 0.04 -0.25 0.33
O -0.6566 -0.8306 1.3327 0.30 -0.08 -0.01 -0.41
C -1.2695 -1.2910 0.2154 -0.31 -0.28 -0.22 0.13
C -2.0646 -2.4191 0.4703 0.10 0.17 -0.05 -0.58
C -2.7461 -3.0928 -0.5161 0.04 0.09 -0.06 -0.57
C -2.6549 -2.6363 -1.8227 0.22 0.25 0.14 0.30
C -1.8784 -1.5331 -2.1156 -0.19 -0.23 0.03 -0.83
C -1.1824 -0.8659 -1.1139 0.12 0.09 0.12 0.88
Cl -0.2148 0.4737 -1.6549 -0.20 -0.05 -0.30 -0.15
H -1.7960 -1.1807 -3.1313 0.01 0.03 -0.07 0.45
Cl -3.5030 -3.4454 -3.0884 -0.13 -0.12 -0.18 -0.22
H -3.3453 -3.9566 -0.2783 -0.06 -0.08 0.01 0.41
H -2.1181 -2.7500 1.4954 -0.01 -0.03 0.11 0.42
└──

Written answer
C 1.1643 0.7401 0.8310 0.49 -0.33 0.09 0.00
N 1.5036 2.0048 0.6434 -0.18 0.15 0.12 -0.42
C 2.6865 2.2355 0.0673 -0.06 -0.49 0.15 0.39
N 3.5534 1.3033 -0.3357 0.30 0.33 -0.23 -0.66
C 3.2079 0.0475 -0.1199 -0.31 -0.11 0.17 -0.36
C 2.0116 -0.3089 0.4797 0.01 0.09 0.12 -0.23
H 1.7361 -1.3362 0.6483 -0.02 -0.09 0.00 0.49
H 3.9223 -0.6973 -0.4470 0.00 -0.11 0.01 0.41
N 3.0482 3.5248 -0.0948 0.11 0.39 -0.06 -0.38
H 2.3597 4.2379 0.0616 0.03 -0.02 -0.02 0.23
H 3.8625 3.7210 -0.6478 -0.03 0.02 0.01 0.24
H 0.0776 0.4775 2.6025 -0.04 0.04 -0.25 0.33
O -0.6566 -0.8306 1.3327 0.30 -0.08 -0.01 -0.41
C -1.2695 -1.2910 0.2154 -0.31 -0.28 -0.22 0.13
C -2.0646 -2.4191 0.4703 0.10 0.17 -0.05 -0.58
C -2.7461 -3.0928 -0.5161 0.04 0.09 -0.06 -0.57
C -2.6549 -2.6363 -1.8227 0.22 0.25 0.14 0.30
C -1.8784 -1.5331 -2.1156 -0.19 -0.23 0.03 -0.83
C -1.1824 -0.8659 -1.1139 0.12 0.09 0.12 0.88
Cl -0.2148 0.4737 -1.6549 -0.20 -0.05 -0.30 -0.15
H -1.7960 -1.1807 -3.1313 0.01 0.03 -0.07 0.45
Cl -3.5030 -3.4454 -3.0884 -0.13 -0.12 -0.18 -0.22
H -3.3453 -3.9566 -0.2783 -0.06 -0.08 0.01 0.41
H -2.1181 -2.7500 1.4954 -0.01 -0.03 0.11 0.42